**Assignment:**
Return the whole of the material further below without additions, please.

**Material:**
=====
[1]
A relaxed structure of CsMo, computed with GGA-PBE.

Computed properties:
Its crystal system is orthorhombic. For the formation energy, the calculation gives 2185 meV/atom. The calculation puts the total moment at 0.00 μB/f.u. As for the energy above the most stable polymorph in this dataset: 1176 meV/atom.

abc: 3.137 3.137 6.114
angles: 90.00 90.00 119.03
Sites, in units of the cell vectors:
1 Cs 0.000 0.000 0.000
2 Mo 0.000 0.000 0.500


[2]
A relaxed structure of CsMo, computed with GGA-PBE.

Computed properties:
Its crystal system is hexagonal. For the formation energy, the calculation gives 1387 meV/atom. The calculation puts the total moment at 0.25 μB/f.u. As for the energy above the most stable polymorph in this dataset: 378 meV/atom.

abc: 15.530 15.530 3.353
angles: 90.00 90.00 120.00
Sites, in units of the cell vectors:
1 Cs 0.181 0.427 0.250
2 Cs 0.245 0.819 0.250
3 Cs 0.427 0.245 0.750
4 Cs 0.573 0.755 0.250
5 Cs 0.755 0.181 0.750
6 Cs 0.819 0.573 0.750
7 Mo 0.038 0.559 0.250
8 Mo 0.441 0.479 0.250
9 Mo 0.479 0.038 0.750
10 Mo 0.521 0.962 0.250
11 Mo 0.559 0.521 0.750
12 Mo 0.962 0.441 0.750


[3]
A relaxed structure of CsMo, computed with GGA-PBE.

Computed properties:
Its crystal system is hexagonal. For the formation energy, the calculation gives 2199 meV/atom. The calculation puts the total moment at 0.92 μB/f.u. As for the energy above the most stable polymorph in this dataset: 1190 meV/atom.

abc: 3.161 3.161 12.806
angles: 90.00 90.00 120.00
Sites, in units of the cell vectors:
1 Cs 0.333 0.667 0.000
2 Cs 0.667 0.333 0.500
3 Mo 0.333 0.667 0.253
4 Mo 0.667 0.333 0.753


[4]
A relaxed structure of CsMo, computed with GGA-PBE.

Computed properties:
Its crystal system is tetragonal. For the formation energy, the calculation gives 1380 meV/atom. The calculation puts the total moment at 0.18 μB/f.u. As for the energy above the most stable polymorph in this dataset: 371 meV/atom.

abc: 11.492 11.492 11.492
angles: 91.22 91.22 163.23
Sites, in units of the cell vectors:
1 Cs 0.030 0.745 0.775
2 Cs 0.255 0.030 0.285
3 Cs 0.745 0.970 0.715
4 Cs 0.970 0.255 0.225
5 Mo 0.200 0.253 0.453
6 Mo 0.253 0.800 0.053
7 Mo 0.747 0.200 0.947
8 Mo 0.800 0.747 0.547


[5]
A relaxed structure of CsMo, computed with GGA-PBE.

Computed properties:
Its crystal system is tetragonal. For the formation energy, the calculation gives 1665 meV/atom. The calculation puts the total moment at 0.51 μB/f.u. As for the energy above the most stable polymorph in this dataset: 657 meV/atom.

abc: 11.746 11.746 3.424
angles: 90.00 90.00 90.00
Sites, in units of the cell vectors:
1 Cs 0.217 0.217 0.000
2 Cs 0.283 0.717 0.500
3 Cs 0.717 0.283 0.500
4 Cs 0.783 0.783 0.000
5 Mo 0.061 0.939 0.000
6 Mo 0.439 0.439 0.500
7 Mo 0.561 0.561 0.500
8 Mo 0.939 0.061 0.000


[6]
A relaxed structure of CsMo, computed with GGA-PBE.

Computed properties:
Its crystal system is cubic. For the formation energy, the calculation gives 2512 meV/atom. The calculation puts the total moment at 5.07 μB/f.u. As for the energy above the most stable polymorph in this dataset: 1503 meV/atom.

abc: 5.696 5.696 5.696
angles: 60.00 60.00 60.00
Sites, in units of the cell vectors:
1 Cs 0.000 0.000 0.000
2 Mo 0.500 0.500 0.500


[7]
A relaxed structure of Cs2MoN, computed with GGA-PBE.

Computed properties:
Its crystal system is cubic. For the energy relative to the elements, uncorrected, the calculation gives 2.333 eV/atom. The calculation puts the total moment at 4.90 μB/f.u.

abc: 5.115 5.115 5.115
angles: 60.00 60.00 60.00
Sites, in units of the cell vectors:
1 Cs 0.250 0.250 0.250
2 Cs 0.750 0.750 0.750
3 Mo 0.000 0.000 0.000
4 N 0.500 0.500 0.500


[8]
A relaxed structure of CsNdMoN3, computed with GGA-PBE.

Computed properties:
Its crystal system is monoclinic. For the energy relative to the elements, uncorrected, the calculation gives -0.461 eV/atom. The calculation puts the total moment at 0.00 μB/f.u.

abc: 7.270 7.270 8.790
angles: 103.83 103.83 31.50
=====

**Written answer:**
[1]
A relaxed structure of CsMo, computed with GGA-PBE.

Computed properties:
Its crystal system is orthorhombic. For the formation energy, the calculation gives 2185 meV/atom. The calculation puts the total moment at 0.00 μB/f.u. As for the energy above the most stable polymorph in this dataset: 1176 meV/atom.

abc: 3.137 3.137 6.114
angles: 90.00 90.00 119.03
Sites, in units of the cell vectors:
1 Cs 0.000 0.000 0.000
2 Mo 0.000 0.000 0.500


[2]
A relaxed structure of CsMo, computed with GGA-PBE.

Computed properties:
Its crystal system is hexagonal. For the formation energy, the calculation gives 1387 meV/atom. The calculation puts the total moment at 0.25 μB/f.u. As for the energy above the most stable polymorph in this dataset: 378 meV/atom.

abc: 15.530 15.530 3.353
angles: 90.00 90.00 120.00
Sites, in units of the cell vectors:
1 Cs 0.181 0.427 0.250
2 Cs 0.245 0.819 0.250
3 Cs 0.427 0.245 0.750
4 Cs 0.573 0.755 0.250
5 Cs 0.755 0.181 0.750
6 Cs 0.819 0.573 0.750
7 Mo 0.038 0.559 0.250
8 Mo 0.441 0.479 0.250
9 Mo 0.479 0.038 0.750
10 Mo 0.521 0.962 0.250
11 Mo 0.559 0.521 0.750
12 Mo 0.962 0.441 0.750


[3]
A relaxed structure of CsMo, computed with GGA-PBE.

Computed properties:
Its crystal system is hexagonal. For the formation energy, the calculation gives 2199 meV/atom. The calculation puts the total moment at 0.92 μB/f.u. As for the energy above the most stable polymorph in this dataset: 1190 meV/atom.

abc: 3.161 3.161 12.806
angles: 90.00 90.00 120.00
Sites, in units of the cell vectors:
1 Cs 0.333 0.667 0.000
2 Cs 0.667 0.333 0.500
3 Mo 0.333 0.667 0.253
4 Mo 0.667 0.333 0.753


[4]
A relaxed structure of CsMo, computed with GGA-PBE.

Computed properties:
Its crystal system is tetragonal. For the formation energy, the calculation gives 1380 meV/atom. The calculation puts the total moment at 0.18 μB/f.u. As for the energy above the most stable polymorph in this dataset: 371 meV/atom.

abc: 11.492 11.492 11.492
angles: 91.22 91.22 163.23
Sites, in units of the cell vectors:
1 Cs 0.030 0.745 0.775
2 Cs 0.255 0.030 0.285
3 Cs 0.745 0.970 0.715
4 Cs 0.970 0.255 0.225
5 Mo 0.200 0.253 0.453
6 Mo 0.253 0.800 0.053
7 Mo 0.747 0.200 0.947
8 Mo 0.800 0.747 0.547


[5]
A relaxed structure of CsMo, computed with GGA-PBE.

Computed properties:
Its crystal system is tetragonal. For the formation energy, the calculation gives 1665 meV/atom. The calculation puts the total moment at 0.51 μB/f.u. As for the energy above the most stable polymorph in this dataset: 657 meV/atom.

abc: 11.746 11.746 3.424
angles: 90.00 90.00 90.00
Sites, in units of the cell vectors:
1 Cs 0.217 0.217 0.000
2 Cs 0.283 0.717 0.500
3 Cs 0.717 0.283 0.500
4 Cs 0.783 0.783 0.000
5 Mo 0.061 0.939 0.000
6 Mo 0.439 0.439 0.500
7 Mo 0.561 0.561 0.500
8 Mo 0.939 0.061 0.000


[6]
A relaxed structure of CsMo, computed with GGA-PBE.

Computed properties:
Its crystal system is cubic. For the formation energy, the calculation gives 2512 meV/atom. The calculation puts the total moment at 5.07 μB/f.u. As for the energy above the most stable polymorph in this dataset: 1503 meV/atom.

abc: 5.696 5.696 5.696
angles: 60.00 60.00 60.00
Sites, in units of the cell vectors:
1 Cs 0.000 0.000 0.000
2 Mo 0.500 0.500 0.500


[7]
A relaxed structure of Cs2MoN, computed with GGA-PBE.

Computed properties:
Its crystal system is cubic. For the energy relative to the elements, uncorrected, the calculation gives 2.333 eV/atom. The calculation puts the total moment at 4.90 μB/f.u.

abc: 5.115 5.115 5.115
angles: 60.00 60.00 60.00
Sites, in units of the cell vectors:
1 Cs 0.250 0.250 0.250
2 Cs 0.750 0.750 0.750
3 Mo 0.000 0.000 0.000
4 N 0.500 0.500 0.500


[8]
A relaxed structure of CsNdMoN3, computed with GGA-PBE.

Computed properties:
Its crystal system is monoclinic. For the energy relative to the elements, uncorrected, the calculation gives -0.461 eV/atom. The calculation puts the total moment at 0.00 μB/f.u.

abc: 7.270 7.270 8.790
angles: 103.83 103.83 31.50